Historically, the Monday after a Pro Tour has been the best time to sell
your Standard specs. It makes sense: People watch the last few rounds of
Day 2 and the Top 8, pick a deck they want to play, and buy in. At the same
time, supply for these cards is extra low thanks to all the speculators who
snagged several dozen copies of each new staple on Day 1. By the following
weekend, speculator copies have started flooding the market while more and
more Standard players will have already completed their new deck and moved
If you want to follow this advice and sell your Amonkhet specs
immediately, you will do fine. It’s certainly the low-risk play, and there
are some cards that spiked early in the weekend (cough cough New
Perspectives) that should be dumped ASAP.
That said, I wouldn’t be surprised if the overall price trends look a
little different this time around. Thanks to the oppressive nature of
Smuggler’s Copter Standard and Saheeli Rai Standard existing almost
back-to-back, a lot of the format’s normal player base is acting a little
gun-shy right now. Instead of buying in immediately, many players seem to
be waiting to make sure that the format doesn’t just become 90% Aetherworks
Marvel or whatever by this time next week. And considering the deck’s
performance in the Top 8, I don’t blame them.
I’m writing this at the start of the Top 8 Coverage on Sunday morning, and
it’s still possible to find Aetherworks Marvels for less than $15. In most
previous Pro Tours, that card would have broken $20 almost a day ago. The
same is true for many of the key pieces in the Zombies decks. People are
happy that Vehicles didn’t steamroll the Pro Tour, but they’re still very
worried about competitive balance.
As long as people eventually deem this to be a healthy Standard
environment-and I suspect they will-many of these cards will remain at
their post-PT highs longer than average. Some of them might even have
further to gain. Selling now is fine-it almost always is-but my urgency is
a lot lower this time around. Of course, that confidence is based on a
belief that we’ll find a reasonable solution to…
The Marvel Universe
Let’s start by talking about what will now be viewed as the consensus best
deck in the format: Temur Aetherworks. This Pro Tour proved beyond a doubt
that a turn 4 Ulamog, the Ceaseless Hunger is the most powerful thing you
can do in this format, full stop.
Aetherworks Marvel seems like a monolithic archetype, but there’s actually
a good deal of variety.
Frank Karsten broke it down into six distinct variants
, though three of them are just flavors of Temur. I’ll be focusing solely
on these today: not only did all three Temur versions of the deck have a
better Day 2 conversion percentage than all three non-Temur versions, but
all four Aetherworks Marvel decks to make Top 8 were Temur-based. In the
immediate future, then, I suspect that all the Aetherworks players will be
moving in this direction.
Let’s start with Marc Tobiasch’s version of Temur Aetheworks Marvel, which
is fairly straightforward:
Creatures (19)
- 4 Ulamog, the Ceaseless Hunger
- 2 Tireless Tracker
- 4 Whirler Virtuoso
- 4 Servant of the Conduit
- 4 Rogue Refiner
- 1 Shielded Aether Thief
Planeswalkers (3)
Lands (21)
Spells (17)
![Magic Card Back](https://static.starcitygames.com/sales/cardscans/mr224_back.jpg)
Financially, the key cards (as in all the Marvel variants) are Aetherworks
Marvel and Ulamog, the Ceaseless Hunger. StarCityGames is sold out of both
as of me writing this, but I expect them to re-stock Marvel in the $15-$20
range, while Ulamog ends up around $35. Considering you need 3-4 copies of
each to play this deck, there’s not going to be a ton of room for financial
gain when it comes to the supporting pieces. If you’ve got four copies of
Ulamog, you probably aren’t going to have any trouble tracking down a set
of Whirler Virtuosos or Rogue Refiners, right? We may see small bumps for
Botanical Sanctum, Spirebluff Canal, and Aether Hub, though.
This version also runs three copies of Chandra, Torch of Defiance. That
card is likely to see a small uptick in interest, though I’m a little more
interested in the version of the deck that plays Chandra, Flamecaller.
Let’s check out Martin Muller’s Top 8 build featuring the Flamecaller,
shall we?
Creatures (15)
Planeswalkers (4)
Lands (23)
Spells (18)
- 4 Aetherworks Marvel
- 4 Woodweaver's Puzzleknot
- 4 Harnessed Lightning
- 4 Attune with Aether
- 2 Aether Meltdown
![Magic Card Back](https://static.starcitygames.com/sales/cardscans/mr224_back.jpg)
It’s easy to forget that Chandra, Flamecaller was a top control card back
when Oath of the Gatewatch came out. Zombies are tier one now,
though, and as a result the Chandra, Flamecaller variants of Temur
Aetherworks went seven for seven in terms of conversion percentage.
If Chandra, Flamecaller isn’t a $10-$12 card by the time this article is
published, you might want to run out and grab a few extra copies ASAP.
Lastly, let’s talk about the spell-heavy variant of Temur Aetherworks. Both
Yuuya Wantanabe and Eric Froehlich piloted this into the Top 8 and had a
fantastic weekend playing this more controlling variant of the combo deck.
Let’s take a look:
Creatures (12)
Lands (22)
Spells (26)
![Magic Card Back](https://static.starcitygames.com/sales/cardscans/mr224_back.jpg)
You might get dollar signs in your eyes at the sight of Torrential
Gearhulk, but the card was actually underrepresented all weekend.
Gearhulk-based control never made the splash that many were expecting, and
the card’s pre-PT price spike was a little bit of fool’s gold. If you have
extra Torrential Gearhulks kicking around, sell them ASAP. It looks more
like a $15 card than a $35 one.
Otherwise, it’s worth noting that Censor is likely to remain one of the
most expensive Uncommons in Amonkhet. Don’t forget to snag a
couple of playsets before the Draft format moves on to Hour of Devastation.
Undying Love
Everyone thought that Zombies would define Standard back when Shadows over Innistrad came out. I guess we were only a year off!
Not only did Zombies show up in force at the Pro Tour, the deck did quite
well. Both the mono-black and white-black variants had above average Day 2
conversion percentages and have joined Standard’s top tier. Let’s start by
taking a look at Christian Calcano’s Mono-Black Zombies list from the Top
Creatures (24)
- 4 Relentless Dead
- 4 Diregraf Colossus
- 4 Cryptbreaker
- 4 Metallic Mimic
- 4 Lord of the Accursed
- 4 Dread Wanderer
Lands (24)
- 22 Swamp
- 2 Westvale Abbey
Spells (12)
![Magic Card Back](https://static.starcitygames.com/sales/cardscans/mr224_back.jpg)
There are a lot of financially-relevant cards in here, and their prices are
still in flux. Cryptbreaker, Dread Wanderer, Diregraf Colossus, and Dark
Salvation are played in both the mono-black and white-black versions,
meaning that they should be your primary targets. All four cards spiked
during previous weeks, but they’ve all got a bit farther to go. Dread
Wanderer is up about 50%, Diregraf Colossus is up about 40%, and Dark
Salvation is up by almost 500% – from near-bulk to about $5. All three of
these cards should settle in the $5-$7 range when all is said and done.
Cryptbreaker was already $8, but it hasn’t seen any real gains from the Pro
Tour yet. I suspect it’ll end up around $12.
The mono-black version of the deck also features Relentless Dead, Metallic
Mimic, Liliana’s Mastery, and Westvale Abbey. Relentless Dead is already
back up to $20 and it could hit $25 or even $30 in the short term. Metallic
Mimic and Liliana’s Mastery should end up around $5.
Westvale Abbey is my favorite buy right now, though-it’s a casual darling
that hasn’t seen any post-PT gains yet. It might end up back in the $6-$7
range with a very high floor.
The other version of Zombies might be even better positioned coming out of
the Pro Tour, thanks to the power of its sideboard and its strength against
Mono-Black Zombies and Temur Aetherworks. Let’s check out Chris Fennell’s
Creatures (22)
- 4 Diregraf Colossus
- 4 Cryptbreaker
- 4 Lord of the Accursed
- 4 Dread Wanderer
- 4 Wayward Servant
- 2 Binding Mummy
Lands (24)
Spells (14)
![Magic Card Back](https://static.starcitygames.com/sales/cardscans/mr224_back.jpg)
Anguished Unmaking, Concealed Courtyard, and Shambling Vent are the big
additions here. The financial world hasn’t really caught up to them yet,
though, and none have experienced significant post-PT bumps yet. I’d grab a
set of two of Shambling Vents-it’s a Modern-playable card and it’s just $5.
I love the high floor and moderate ceiling of specs like this.
Want to go next level? Now that Zombies are a known part of the metagame,
people are going to be playing more sweepers in their decks. Yahenni,
Undying Partisan and Bontu the Glorified are two potential ways to fight
through them that haven’t seen a lot of play yet. If you want to take a
home run swing, that’s the direction I’d go.
Driven Away?
Is Mardu Vehicles dead? It sure seemed that way watching the Pro Tour
coverage. It was the most-played deck on Day One, but we barely saw it on
camera and not a single copy made it into the Top 8. What happened?
I believe that the answer is a combination of the following three factors:
Firstly, everyone knew that Mardu Vehicles was going to be a big target
going into the Pro Tour. Thus, everyone came into Tennessee with a plan to
beat it.
Secondly, because it was a very proven deck, it was chosen by a larger
number of unaffiliated and less experienced pros. If you had a testing team
with a bunch of platinum pros on it, you probably played something
different. If you were a first-timer on the tour, you were much more likely
to go with Vehicles. This always happens with the consensus “previous best
deck” going into a PT, and it always leads to a low Day 2 conversion rate.
Lastly, WotC knew that people were sick of seeing Vehicles on camera and
deliberately chose interesting decks to feature on their stream. This made
the deck seem less prevalent than it actually was.
The upshot is that that the narrative (“Vehicles is dead!”) doesn’t match
reality. Mardu didn’t do great at the Pro Tour, but it was still the most
popular Day 1 deck and its conversion rate was still 50%. I expect Vehicles
staples to drop off significantly, but the floor is likely higher than you
think. Sell these cards ASAP if you’re not playing the deck, but don’t feel
the need to switch into something else if Vehicles is your primary weapon
of choice. The deck should start performing better once the heat is off a
bit, too.
Still Energetic
The final Top 8 deck we need to discuss is Ken Yukihiro’s B/G Energy build.
Take a look:
Creatures (27)
- 4 Longtusk Cub
- 4 Greenbelt Rampager
- 4 Winding Constrictor
- 4 Rishkar, Peema Renegade
- 3 Glint-Sleeve Siphoner
- 4 Walking Ballista
- 4 Bone Picker
Lands (20)
Spells (13)
![Magic Card Back](https://static.starcitygames.com/sales/cardscans/mr224_back.jpg)
This isn’t much different from the B/G Variants running around before the
Pro Tour, but this should help keep Walking Ballista, Winding Constrictor,
and Rishkar, Peema Renegade financially relevant in the new format.
Greenbelt Rampager might have a little bit of room to gain, too, as this
particular version of B/G pushes the delirium strategies further out of
Standard. The success of this deck should also help keep Heart of Kiran
from dropping off too much.
It’s also worth taking a moment to discuss Fatal Push, which showed up in
all the non-Aetherworks Marvel Top 8 decklists. The uncommon is up to $10
now, and it might have even further to go as we move away from drafting Aether Revolt. I’m not a buyer at current retail unless I need
them, but if it ends up at $5 or $6 during a summer lull, you’d better
believe I’ll be going in on a giant stack of them.
Beyond the Top 8
It seems like forever ago, but the Pro Tour actually started off with a
match-up between Mono-Black Zombies and New Perspectives Combo. Not only
did New Perspectives lose on camera, it did quite poorly at the event
overall. It’s possible that the deck is just really hard to build and play
and that it’ll eventually find a home, but I’m not sticking around to find
out. New Perspectives spiked to $5, but it’ll be back to a dollar before
long. Sell ASAP if you have any of these kicking around. Ditto Sphinx of
the Final Word, which spiked prior to the PT thanks to this deck and didn’t
see much play anywhere else.
# Calculated crystals, kept here for reference
/*
Theoretical powder XRD pattern
Compound: Y3Tm8Th
Radiation: Cu Kα, 1.54184 Å
Structure: a structure optimized by DFT (GGA-PBE)
Lines closer than 0.1° are merged.

Principal peaks in the range 2θ = 10–80°, sorted by position:
(hkl)  2θ (°)  Rel. int.
0 0 2  28.72  24
0 4 0  31.99  24
3 2 1  32.96  100
6 0 0  50.88  20
3 6 1  57.63  20
6 4 0  61.37  22

Atomic structure:
```
data_Y3Tm8Th
_chemical_formula_sum 'Y6 Tm16 Th2'
_space_group_name_H-M_alt 'I m m 2'
_space_group_IT_number 44
_cell_length_a 10.779
_cell_length_b 11.192
_cell_length_c 6.212
_cell_angle_alpha 90.00
_cell_angle_beta 90.00
_cell_angle_gamma 90.00
loop_
_space_group_symop_operation_xyz
'x,y,z'
'-x,-y,z'
'-x,y,z'
'x,-y,z'
'x+1/2,y+1/2,z+1/2'
'-x+1/2,-y+1/2,z+1/2'
'-x+1/2,y+1/2,z+1/2'
'x+1/2,-y+1/2,z+1/2'
loop_
_atom_site_label
_atom_site_fract_x
_atom_site_fract_y
_atom_site_fract_z
Y1 0.000 0.000 0.000
Y2 0.000 0.250 0.664
Tm1 0.165 0.250 0.159
Tm2 0.167 0.500 0.491
Tm3 0.170 0.000 0.495
Th1 0.000 0.500 0.999
```

Theoretical powder XRD pattern
Compound: TmTl2Cd
Radiation: Cu Kα, 1.54184 Å
Structure: a structure optimized by DFT (GGA-PBE)
Lines closer than 0.1° are merged.

Principal peaks in the range 2θ = 10–80°, sorted by position:
(hkl)  2θ (°)  Rel. int.
1 1 1  33.29  100
2 0 0  38.01  35
0 0 2  39.83  15
2 0 2  56.23  23
3 1 1  65.68  28
1 1 3  68.17  13

Atomic structure:
```
data_TmTl2Cd
_chemical_formula_sum 'Tm1 Tl2 Cd1'
_space_group_name_H-M_alt 'P 4/m m m'
_space_group_IT_number 123
_space_group_name_Hall '-P 4 2'
_cell_length_a 4.735
_cell_length_b 4.735
_cell_length_c 4.526
_cell_angle_alpha 90.00
_cell_angle_beta 90.00
_cell_angle_gamma 90.00
loop_
_atom_site_label
_atom_site_fract_x
_atom_site_fract_y
_atom_site_fract_z
Tm1 0.000 0.000 0.000
Tl1 0.000 0.500 0.500
Cd1 0.500 0.500 0.000
```

~~~~~

The following is a theoretical XRD peak list of LiFeF5. It was derived from a crystal structure in Alexandria, relaxed with PBE+U, using Cu Kα (weighted mean of Kα1 and Kα2).
Lines closer than 0.1° are merged.

Top 10 peaks for 2θ from 10° to 90°, low angle first:
| 2θ/deg | d/Å | intensity |
| --- | --- | --- |
| 18.98 | 4.675 | 100 |
| 23.49 | 3.787 | 50 |
| 25.79 | 3.455 | 28 |
| 26.35 | 3.383 | 22 |
| 27.71 | 3.219 | 63 |
| 30.08 | 2.971 | 17 |
| 47.46 | 1.916 | 24 |
| 48.04 | 1.894 | 20 |
| 51.96 | 1.760 | 25 |
| 57.23 | 1.610 | 13 |

Crystal structure
a = 5.218 Å, b = 5.218 Å, c = 7.663 Å
α = 112.71°, β = 112.71°, γ = 69.41°
Sites, in units of the cell vectors:
Li (0.027, 0.973, 0.750)
Li (0.973, 0.027, 0.250)
Fe (0.500, 0.500, 0.000)
Fe (0.500, 0.500, 0.500)
F (0.176, 0.756, 0.046)
F (0.222, 0.309, 0.365)
F (0.244, 0.824, 0.454)
F (0.309, 0.222, 0.865)
F (0.384, 0.616, 0.750)
F (0.616, 0.384, 0.250)
F (0.691, 0.778, 0.135)
F (0.756, 0.176, 0.546)
F (0.778, 0.691, 0.635)
F (0.824, 0.244, 0.954)

~~~~~

Theoretical XRD peak list
Compound: Na3CaNbSi2SO12
Radiation: Cu Ka
Structure: DFT lattice parameters and positions (GGA-PBE)
*/
# End of the calculated crystals
Sam Black showed up at the Pro Tour with a really fun-looking Abzan Tokens
deck. Other than Gideon, Ally of Zendikar and the mana base, it’s a cheap
deck with only three rares: Anointed Procession, Anguished Unmaking, and
Cryptolith Rite. Anointed Procession is the exact kind of card that many
semi-casual Standard players absolutely adore, and the fact that it’s even
remotely competitive could lead to a lot of people wanting this deck.
The card is already racing past $3 and could settle around $5-$6 for a bit.
Cryptolith Rite hasn’t seen any real gains, but it could also end up closer
to $5 before long.
Speaking of Cryptolith Rite, the B/G Cryptolith Rite deck had a 100% Day 2
conversion percentage and may end up on everyone’s radar after the dust has
settled. In addition to its namesake card, the deck features exciting
mythics Bontu the Glorified and Vizier of the Menagerie. Another reason to
buy Bontu? Yes, please! At just $5, sign me up for an exciting mythic with
a super high ceiling.
Lastly, this was just a poor weekend for classic control decks. The U/R
Control build that everyone expected to perform well this weekend ended up
doing terribly against both Marvel and Mardu, which was not a good place to
be. In addition to seeing Torrential Gearhulk lose value, I expect
Disallow, Commit, Pull from Tomorrow, and Dynavolt Tower to all start
ticking down. They won’t totally tank, though: Not only are these
still very powerful cards that might find a home, but a certain number of
local players will always run decks like this regardless of how good they
actually are. I’ll probably snag a few playsets of Pull from Tomorrow and
Commit once they reach their post-PT lows because I assume that control
will make a comeback long before these two powerful cards rotate out of the
This Week’s Trends
Modern was incredibly quiet this week thanks to all the time we spent on
the Pro Tour. Cryptic Command is up a little, All is Dust continues to
rise, and Ethersworn Canonist saw a small bump, but these are all long-term
trends rather than sudden jumps. Regardless, all three spells have the
potential for a spike at any moment. Ethersworn Canonist has an especially
juicy price chart, and I wouldn’t be shocked if a buyout sends it to $15 at
some point soon. Snag a set now.
Over in the mysterious land of Commander, -1/-1 counters are still all the
rage. This week, it was Flourishing Defenses and Dusk Urchins making the
same leap that Blowfly Infestation and Crumbling Ashes did earlier this
month. Both of those cards have leveled out a bit, though demand for
Hapatra, Vizier of Potions staples is real enough to ensure that none of
these cards should return to their pre-spike lows. All four of these cards
are legitimate inclusions in that deck according to
If you still want to speculate down these lines, take a look at Soul
Snuffers, Necroskitter, Carnifex Demon, Black Sun’s Zenith, Blood Artist,
and Cauldron of Souls.
None of these are as good in Hapatra decks as the cards that have already
jumped, but there might be some fuel left in this rocket as long as you
aren’t expecting crazy big gains.
Also up this week: Debt of Loyalty, a reserved list card from Weatherlight. There’s not much to say here: It’s a very good
casual spell that isn’t going to be reprinted ever again.
It’s probably not ever going to be $20, but I doubt it’ll drop below $5 at
this point. Selling into hype is fine, but it’s not necessary with a
reserved list card like this. You can afford to be patient.